Tuesday, December 22, 2009

I never knew I could...

When Bryce and I got married I informed him that I wasn't much of a cook. I quickly learned that his mother is a great cook. She even gave all of her kids a "Mom's cookbook" when they left home with all her favorite dinner recipes, and do you know how many there are!? I just counted and there are 54 main course recipes, that does not count the appetizers, beverages, and dessert recipes. 54 main course recipes, do you know that the average person has about 14 meals that they make over and over?

So after Bryce and I got married I realized that it was suddenly very important to me to feed him, it is my way of taking care of him. He can fix things and make more money than I can, so I can feed him and keep our house clean. So I started learning how to cook some things, I learned his favorite of his mom's recipes (Spaghetti Pie) and learned a few of my mom's favorites as well. When I had 14 recipes I was feeling pretty good about myself, no need to push it, average is good. But Bryce gets bored. He likes lots of variety and everytime I bring up "do you want tacos for dinner?" he says "we just had tacos" (even if it was three weeks ago...).

So last night we invited two of our very good friends over, we used to call them our "church friends," because we met them at church, but they said that sounded weird to them and prefer to be called our "drinking friends" because everytime we see each other (even at church) we have a little drink! So in all my infinite wisdom and thinking that I can do more than I actually know how to do, I decided to roast a chicken (you know, try something new!). I have a recipe, follow recipe, easy right? About 2 hours before they are supposed to show up I start to panic, the recipe says things like "tie together the legs and tail and put lemons in the chicken cavity and pull the wings down so the tips touch behind it's back." I start to think, I don't even know what this all means, what was I thinking trying something new for company!?!

But I decided it didn't really matter if I got the chicken positioned correctly as long as it was cooked clear through all would most likely be well. So I mixed up the herbs and oil and spread it over the little chicken in my roasting pan I had never used that we got for our wedding. Stuck in the meat thermometer just as the instructions said and put it in the oven. Not long into it Bryce calls and I tell him I think everything is going well, but something smells like it's burning and I can't tell what, maybe it's just because the roasting pan has never been used before...

Bryce gets home about the time I take the chicken out to add all the yummy vegetables and he looks at me and says "Keely, that is a plastic meat thermometer, you can't leave it in the oven, you are smelling burning plastic." I am aware of the hilarity of this now...but at the moment I was very stressed about this chicken and now the fact that I am clearly an idiot on top of trying to cook something I've never made before. Fortunately, Bryce could tell this was not yet the time to make fun of my stupidity and offered to go buy me a new one at the grocery store. I decided it didn't matter, we would just cut into the chicken to make sure it was done.

The chicken was amazing, moist and tender, and all the vegetables were sweet and seasoned and cooked just right! It was probably the best meal I have ever made and I am rediculously proud of myself over it. Our friends also loved it and were very impressed with my cooking abilities as well. Burning up the meat thermometer wasn't very cool, but then I tell everyone about it, so that's cool. I did not take a picture of my chicken, so I borrowed this picture, but my chicken really did look this good!


  1. It sounds like your dinner was scrumptious and that you had a good laugh (later) about the meat thermometer. Never underestimate your cooking abilities ... every meal we've had at your house has been fabulous!

  2. I love this. I do.

    I have one extreeeme kitchen screw up that I have yet to live down. I even threw a spatula across the room, thus hitting the wall.

    You handled it very well! I'm so excited that you now have 15! recipes! woo hoo!

# Attached: calculated crystals
~~~
# 1
# Ca2Fe7O11

A geometry-optimized Ca2Fe7O11 structure (PBE+U, the Materials Project database).

Computed properties:
* ρ: 4.94 g/cm³
* V: 435.4 Å³ per cell

a b c (Å): 10.022 3.059 14.432
angles (deg): 90.00 100.26 90.00
Space group C2/m (No. 12)
One atom of each set of equivalent atoms:
Ca1 0.079 0.000 0.224 x4
Fe1 0.000 0.500 0.000 x2
Fe2 0.124 0.500 0.451 x4
Fe3 0.139 0.000 0.647 x4
Fe4 0.208 0.000 0.901 x4
O1 0.000 0.000 0.500 x2
O2 0.006 0.500 0.671 x4
O3 0.062 0.500 0.878 x4
O4 0.151 0.000 0.044 x4
O5 0.247 0.500 0.587 x4
O6 0.248 0.000 0.773 x4

# 2
# CaFeO3

A geometry-optimized CaFeO3 structure (PBE+U, the Materials Project database).

Computed properties:
* ρ: 4.27 g/cm³
* V: 224.1 Å³ per cell

a b c (Å): 5.447 7.641 5.386
angles (deg): 90.00 90.00 90.00
Space group Pnma (No. 62)
One atom of each set of equivalent atoms:
Ca1 0.042 0.250 0.008 x4
Fe1 0.000 0.000 0.500 x4
O1 0.017 0.750 0.427 x4
O2 0.211 0.538 0.790 x8

# 3
# CaFe2O4

A geometry-optimized CaFe2O4 structure (PBE+U, the Materials Project database).

Computed properties:
* ρ: 4.07 g/cm³
* energy relative to the lowest polymorph listed for this composition: 41 meV per atom
* V: 528.3 Å³ per cell

a b c (Å): 6.2834 6.2834 15.4506
angles (deg): 90.00 90.00 120.00
Space group P3m1 (No. 156)
One atom of each set of equivalent atoms:
Ca1 0.0000 0.0000 0.0000 x1
Ca2 0.0000 0.0000 0.2426 x1
Ca3 0.3333 0.6667 0.3357 x1
Ca4 0.3333 0.6667 0.5838 x1
Ca5 0.3333 0.6667 0.9588 x1
Ca6 0.6667 0.3333 0.6685 x1
Fe1 0.0000 0.0000 0.6182 x1
Fe2 0.0055 0.5028 0.1260 x3
Fe3 0.1615 0.3230 0.7867 x3
Fe4 0.3349 0.1674 0.4563 x3
Fe5 0.6667 0.3333 0.2900 x1
Fe6 0.6667 0.3333 0.9093 x1
O1 0.0000 0.0000 0.3890 x1
O2 0.0000 0.0000 0.8542 x1
O3 0.0006 0.5003 0.8598 x3
O4 0.1439 0.2878 0.5337 x3
O5 0.1815 0.3631 0.0594 x3
O6 0.2815 0.1408 0.7099 x3
O7 0.3333 0.6667 0.1945 x1
O8 0.3333 0.6667 0.7293 x1
O9 0.3883 0.1942 0.2020 x3
O10 0.5241 0.0481 0.3813 x3
O11 0.6667 0.3333 0.0363 x1
O12 0.6667 0.3333 0.5249 x1

Number 1: DFT formation energy -185 kJ per mole of atoms. Number 2: DFT formation energy -215 kJ per mole of atoms. Number 3: DFT formation energy -206 kJ per mole of atoms.


A plane-wave DFT calculation with GGA+U was carried out for a relaxed KLiCrO4 crystal.

POSCAR file:
```
KLiCrO4
1.0
5.277 0.000 0.000
0.000 8.489 0.000
0.000 0.000 19.765
K Li Cr O
8 8 8 32
Direct
0.794 0.481 0.235
0.768 0.174 0.052
0.268 0.326 0.552
0.268 0.826 0.948
0.768 0.674 0.448
0.794 0.981 0.265
0.294 0.019 0.735
0.294 0.519 0.765
0.247 0.498 0.057
0.247 0.308 0.345
0.747 0.192 0.845
0.747 0.692 0.655
0.247 0.998 0.443
0.747 0.002 0.557
0.747 0.502 0.943
0.247 0.808 0.155
0.748 0.795 0.823
0.248 0.205 0.177
0.251 0.783 0.572
0.248 0.705 0.323
0.751 0.717 0.072
0.251 0.283 0.928
0.748 0.295 0.677
0.751 0.217 0.428
0.617 0.555 0.038
0.204 0.134 0.980
0.638 0.763 0.745
0.065 0.192 0.419
0.116 0.246 0.854
0.143 0.347 0.126
0.116 0.746 0.646
0.138 0.237 0.255
0.616 0.254 0.354
0.642 0.969 0.849
0.643 0.153 0.626
~~~

  3. Oh, there are many cooking disasters within the first couple years...all motivated by the desire to please or surprise our spouse. Lets see, I had the Great (burnt) Cheesecake snafu, the First Thanksgiving Pumpkin Pie toss, the locking us out on the deck adventure...with food on the stove of course, the potato and leek soup thing. Just be thankful that yours was edible!!

  4. That meal looks amazing. Way to be brave and try a hard recipe.

    I think you handled the melted thermometer well. I'll never forget locking myself in the bathroom - crying, of course - after I ruined dinner for our first Thanksgiving away from home. Now we laugh about it!
